____________
VASP calculation (PBE) on crystalline Sm4Co3B6 at its relaxed geometry.

It has space group R-3m (No. 166, hexagonal axes), with a = 5.3157 Å, b = 5.3157 Å, c = 22.4545 Å, α = 90.00°, β = 90.00° and γ = 120.00°. The distinct sites, in fractional coordinates, are Sm at (0.0000, 0.0000, 0.0895), Sm at (0.0000, 0.0000, 0.2440), Co at (0.0000, 0.0000, 0.3863), Co at (0.0000, 0.0000, 0.5000) and B at (0.0000, 0.3325, 0.0000).

Its formation energy from the elements is -0.332 eV/atom. The value obtained for the calculated volume is 549 Å³/cell. For the uncorrected energy, the calculation gives -253.768 eV for the cell shown. The crystal system is trigonal. The calculation puts the density at 7.64 Mg/m³. The calculation puts the total magnetization at 2.195 μB per formula unit.

VASP calculation (PBE) on crystalline Co21Sn2B6 at its relaxed geometry.

It has space group Fm-3m (No. 225), with a = 10.5738 Å, b = 10.5738 Å, c = 10.5738 Å, α = 90.00°, β = 90.00° and γ = 90.00°. The distinct sites, in fractional coordinates, are Co at (0.0000, 0.0000, 0.0000), Co at (0.0000, 0.1674, 0.1674), Co at (0.1147, 0.1147, 0.3853), Sn at (0.2500, 0.2500, 0.2500) and B at (0.0000, 0.0000, 0.2760).

Its formation energy from the elements is -0.178 eV/atom. The value obtained for the calculated volume is 1182 Å³/cell. For the uncorrected energy, the calculation gives -810.142 eV for the cell shown. The crystal system is cubic. The calculation puts the density at 8.65 Mg/m³. The calculation puts the total magnetization at 20.047 μB per formula unit.

VASP calculation (PBE) on crystalline Tb4CoB13 at its relaxed geometry.

It has space group P4/mnc (No. 128), with a = 7.3384 Å, b = 7.3384 Å, c = 6.9449 Å, α = 90.00°, β = 90.00° and γ = 90.00°. The distinct sites, in fractional coordinates, are Tb at (0.1813, 0.3156, 0.0000), Co at (0.0000, 0.0000, 0.5000), B at (0.0000, 0.0000, 0.0000), B at (0.0394, 0.8307, 0.2460) and B at (0.0913, 0.5913, 0.2500).

Its formation energy from the elements is -0.455 eV/atom. The value obtained for the calculated volume is 374 Å³/cell. For the uncorrected energy, the calculation gives -241.331 eV for the cell shown. The crystal system is tetragonal. The calculation puts the density at 7.42 Mg/m³. The calculation puts the total magnetization at 0.008 μB per formula unit.

The highest total magnetization belongs to which entry?
Co21Sn2B6
____________
Could you repeat the lines earlier on up to the one that holds "crystalline Co21Sn2B6", that line included?
VASP calculation (PBE) on crystalline Sm4Co3B6 at its relaxed geometry.

It has space group R-3m (No. 166, hexagonal axes), with a = 5.3157 Å, b = 5.3157 Å, c = 22.4545 Å, α = 90.00°, β = 90.00° and γ = 120.00°. The distinct sites, in fractional coordinates, are Sm at (0.0000, 0.0000, 0.0895), Sm at (0.0000, 0.0000, 0.2440), Co at (0.0000, 0.0000, 0.3863), Co at (0.0000, 0.0000, 0.5000) and B at (0.0000, 0.3325, 0.0000).

Its formation energy from the elements is -0.332 eV/atom. The value obtained for the calculated volume is 549 Å³/cell. For the uncorrected energy, the calculation gives -253.768 eV for the cell shown. The crystal system is trigonal. The calculation puts the density at 7.64 Mg/m³. The calculation puts the total magnetization at 2.195 μB per formula unit.

VASP calculation (PBE) on crystalline Co21Sn2B6 at its relaxed geometry.